Please say how many lines of the block further down hold the word "Alexandria", as a bare number.

~~~
This record from Alexandria describes Nd6YSc2 after structural relaxation. The functional is PBE.

Values from the calculation:
As for the total magnetization: 0.000 Bohr magnetons per cell. The energy of formation from the pure elements is 0.161 eV/atom.

The structure in CIF format:
```
data_Nd6YSc2
_cell_length_a 9.2335
_cell_length_b 17.5168
_cell_length_c 3.6142
_cell_angle_alpha 90.00
_cell_angle_beta 90.00
_cell_angle_gamma 90.00
_symmetry_space_group_name_H-M 'C m m m'
_symmetry_Int_Tables_number 65
_symmetry_space_group_name_Hall '-C 2 2'
loop_
_atom_site_label
_atom_site_fract_x
_atom_site_fract_y
_atom_site_fract_z
Nd1 0.1786 0.1665 0.0000
Nd2 0.1802 0.0000 0.5000
Y1 0.0000 0.5000 0.0000
Sc1 0.0000 0.3223 0.5000
```

This record from Alexandria describes CrN2 after structural relaxation. The functional is PBE.

Values from the calculation:
As for the total magnetization: 0.000 Bohr magnetons per cell.

The structure in CIF format:
```
data_CrN2
_cell_length_a 13.6875
_cell_length_b 5.5350
_cell_length_c 4.9443
_cell_angle_alpha 90.00
_cell_angle_beta 99.84
_cell_angle_gamma 90.00
_symmetry_space_group_name_H-M 'C 1 2/c 1'
_symmetry_Int_Tables_number 15
loop_
_symmetry_equiv_pos_as_xyz
'x,y,z'
'-x,-y,-z'
'-x,y,-z+1/2'
'x,-y,z+1/2'
'x+1/2,y+1/2,z'
'-x+1/2,-y+1/2,-z'
'-x+1/2,y+1/2,-z+1/2'
'x+1/2,-y+1/2,z+1/2'
loop_
_atom_site_label
_atom_site_fract_x
_atom_site_fract_y
_atom_site_fract_z
Cr1 0.0000 0.0753 0.2500
Cr2 0.1693 0.4165 0.7914
N1 0.0707 0.1363 0.9651
N2 0.0957 0.3609 0.4778
N3 0.2436 0.3707 0.2001
```

This record from Alexandria describes Mn2B2W after structural relaxation. The functional is PBE.

Values from the calculation:
As for the total magnetization: 1.233 Bohr magnetons per cell. The energy of formation from the pure elements is 0.334 eV/atom.

The structure in CIF format:
```
data_Mn2B2W
_cell_length_a 6.2262
_cell_length_b 6.2262
_cell_length_c 2.5863
_cell_angle_alpha 90.00
_cell_angle_beta 90.00
_cell_angle_gamma 90.00
_symmetry_space_group_name_H-M 'P 4/m b m'
_symmetry_Int_Tables_number 127
_symmetry_space_group_name_Hall '-P 4 2ab'
loop_
_atom_site_label
_atom_site_fract_x
_atom_site_fract_y
_atom_site_fract_z
Mn1 0.1281 0.3719 0.0000
B1 0.1665 0.6665 0.5000
W1 0.0000 0.0000 0.0000
```

This record from Alexandria describes ScMo4Ru after structural relaxation. The functional is PBE.

Values from the calculation:
As for the total magnetization: 0.002 Bohr magnetons per cell. The energy of formation from the pure elements is 0.194 eV/atom.

The structure in CIF format:
```
data_ScMo4Ru
_cell_length_a 7.4183
_cell_length_b 7.4183
_cell_length_c 7.4183
_cell_angle_alpha 90.00
_cell_angle_beta 90.00
_cell_angle_gamma 90.00
_symmetry_space_group_name_H-M 'F -4 3 m'
_symmetry_Int_Tables_number 216
_symmetry_space_group_name_Hall 'F -4 2 3'
loop_
_atom_site_label
_atom_site_fract_x
_atom_site_fract_y
_atom_site_fract_z
Sc1 0.0000 0.0000 0.0000
Mo1 0.1259 0.1259 0.6259
Ru1 0.2500 0.2500 0.2500
```

This record from Alexandria describes OsBrCl after structural relaxation. The functional is PBE.

Values from the calculation:
As for the total magnetization: 0.000 Bohr magnetons per cell.

The structure in CIF format:
```
data_OsBrCl
_cell_length_a 3.7522
_cell_length_b 3.7522
_cell_length_c 5.9235
_cell_angle_alpha 90.00
_cell_angle_beta 90.00
_cell_angle_gamma 120.00
_symmetry_space_group_name_H-M 'P 3 m 1'
_symmetry_Int_Tables_number 156
loop_
_symmetry_equiv_pos_as_xyz
'x,y,z'
'-y,x-y,z'
'-x+y,-x,z'
'-y,-x,z'
'-x+y,y,z'
'x,x-y,z'
loop_
_atom_site_label
_atom_site_fract_x
_atom_site_fract_y
_atom_site_fract_z
Os1 0.0000 0.0000 0.0000
Br1 0.3333 0.6667 0.2093
Cl1 0.6667 0.3333 0.7989
```

This record from Alexandria describes LiPu2Sb2H after structural relaxation. The functional is PBE.

Values from the calculation:
As for the total magnetization: 39.971 Bohr magnetons per cell.

The structure in CIF format:
```
data_LiPu2Sb2H
_cell_length_a 7.6397
_cell_length_b 12.0855
_cell_length_c 5.9862
~~~

6